### Work order
Your job: count the lines below that contain the word "Energy" and give the number alone.
### Entries
=====
ORCA calculation (ωB97M-V/def2-TZVPD) on one molecule with the formula C5H8O.

ORCA input file:
```
! RIJCOSX wB97M-V def2-TZVPD def2/J DEFGRID3
* xyz 0 1
C 1.78527 0.51875 0.19039
C 0.34590 1.10234 0.28693
O -0.01194 1.46397 1.47761
C -0.59577 0.13450 -0.32280
C -0.71563 -1.27122 -0.66573
C -1.80917 -0.51519 0.11835
H 2.01358 0.18537 -0.82725
H 2.47959 1.30472 0.48968
H 1.88607 -0.31234 0.89444
H 0.34388 1.88956 -0.54322
H 0.00189 -1.94103 -0.19648
H -1.03417 -1.57829 -1.65969
H -2.74284 -0.41358 -0.42890
H -1.90749 -0.58509 1.19828
*
```

- HOMO-LUMO gap (spin up / spin down): 8.949 / 6.490 eV
- LUMO energy (spin up / spin down): -0.331 / -1.516 eV
- E: -270.36538 Ha
- Energy relative to the best compared isomer or geometry (same formula, charge and spin): 120.8 kcal/mol
- Maximum force: 1.8 eV/A



ORCA calculation (ωB97M-V/def2-TZVPD) on one molecule with the formula C3H3NO2.

ORCA input file:
```
! RIJCOSX wB97M-V def2-TZVPD def2/J DEFGRID3
* xyz 0 1
O -2.00229 0.01354 -0.00759
C -0.80977 0.02941 -0.00463
C 0.16318 1.19582 0.00992
C 1.45443 0.45363 -0.00952
N 1.30924 -0.81648 -0.00279
O -0.06114 -1.12007 0.01029
H 0.01041 1.83885 -0.86297
H 0.02770 1.80272 0.90921
H 2.45759 0.85295 -0.02294
*
```

- HOMO-LUMO gap: 11.376 eV
- LUMO energy: 0.700 eV
- E: -321.30556 Ha
- Energy relative to the best compared isomer or geometry (same formula, charge and spin): 45.2 kcal/mol
- Maximum force: 0.7 eV/A



ORCA calculation (ωB97M-V/def2-TZVPD) on H24HeO12 as an isolated structure.

ORCA input file:
```
! RIJCOSX wB97M-V def2-TZVPD def2/J DEFGRID3
* xyz 0 1
He 2.43759 -16.48682 0.09766
O 2.93680 -20.01477 -0.39525
H 3.34190 -19.60517 -1.15968
H 2.78974 -19.29187 0.21468
O 0.66961 -14.75980 -2.29108
H 0.84402 -13.93466 -2.74380
H 1.51058 -15.21697 -2.29292
O 2.32976 -12.53373 -0.03410
H 1.61800 -13.17344 -0.01435
H 2.12142 -11.92106 0.67121
O 1.37856 -18.81801 1.67885
H 1.82676 -18.04184 2.01487
H 1.56002 -19.49912 2.32646
O 4.68309 -17.75510 -2.58170
H 5.27067 -18.04640 -3.27893
H 5.26525 -17.39989 -1.91003
O 3.16487 -16.94186 3.08436
H 3.69637 -17.43950 2.46300
H 3.28910 -17.39132 3.92029
O 3.88912 -15.11361 -3.20625
H 4.09824 -16.01689 -2.96837
H 3.83144 -15.12425 -4.16165
O 1.29213 -14.46791 2.18588
H 1.96550 -15.03198 2.56620
H 0.79357 -15.04552 1.60792
O -0.64197 -18.53842 -0.75621
H 0.03197 -18.83158 -0.14294
H -0.42447 -18.97632 -1.57912
O 5.01768 -13.43571 0.23217
H 4.13175 -13.41458 -0.12964
H 4.89490 -13.65971 1.15465
O 6.19919 -15.86370 -0.47784
H 6.75048 -15.50393 -1.17273
H 5.87804 -15.09612 -0.00464
O -0.24414 -15.92685 0.34758
H -0.46339 -16.75896 -0.07164
H -0.23488 -15.29223 -0.36895
*
```

- HOMO-LUMO gap: 10.644 eV
- LUMO energy: -0.024 eV
- E: -920.19190 Ha
- Energy relative to the best compared isomer or geometry (same formula, charge and spin): 10.7 kcal/mol
- Maximum force: 1.3 eV/A



ORCA calculation (ωB97M-V/def2-TZVPD) on one molecule with the formula C2H4BrNS.

ORCA input file:
```
! RIJCOSX wB97M-V def2-TZVPD def2/J DEFGRID3
* xyz 0 1
C -0.26993 -0.16808 0.25809
N 1.06825 -0.18023 -0.31094
C 1.75412 -0.21846 -1.56227
S 3.39095 -0.04480 -1.66132
Br 0.59141 -0.42197 -3.18202
H -0.12330 0.34008 1.19291
H -1.01647 0.47607 -0.21870
H -0.71965 -1.10865 0.45106
H 1.84586 0.00866 0.38923
*
```

- HOMO-LUMO gap: 9.225 eV
- LUMO energy: 0.246 eV
- E: -3105.52989 Ha
- Energy relative to the best compared isomer or geometry (same formula, charge and spin): 4.0 kcal/mol
- Maximum force: 3.8 eV/A



ORCA calculation (ωB97M-V/def2-TZVPD) on an isolated ion of composition C3H2NO3S2 and charge -1.

ORCA input file:
```
! RIJCOSX wB97M-V def2-TZVPD def2/J DEFGRID3
* xyz -1 1
O -1.19967 0.86364 2.09729
S -0.51503 -0.36839 1.81653
O 0.56455 -0.62764 2.73646
C 0.33582 -0.35733 0.15086
C -0.29721 -1.59805 -0.49802
O 0.09415 -2.03665 -1.56335
N -1.31955 -2.20143 0.15917
C -1.60237 -1.80186 1.32301
S -2.99616 -2.64641 2.46217
H 1.29302 -0.35765 0.43688
H -0.01244 0.39365 -0.60005
*
```

- HOMO-LUMO gap: 7.718 eV
=====
### Reply
4